So, today post-egg hunt, I was sitting in the grass by my (now adult) cousins' (now old-old) swing set, which is on a bank overlooking our new homesite. It was sunny and warm, with a nice breeze, and we were chatting.
We came upon a subject, and I thought to myself, I need to blog this... I went so far as to tell my cousin's beau, "I should so blog that!", but do you think that I can remember what it was?
Of course not. It was about Greg, I think... And I thought that reliving the moment in detail would bring back the snippet.
Maybe I will text my cousin to see if she (or her beau) remembers...
Nope! No one else remembers either, although they remember me saying that I should blog "x."
It is so hard to remember the funny stuff when your day is so chock-full of baby-watching. Brooke was adorable to the point of distraction...she was trying to eat nature: grape hyacinth, petrified walnut shell, grass, mulch, dirt...and then she was shredding leaves and stealing sunglasses only to toss them onto the ground, with a mischievious smile and her "ah-ah, ah-ah." We remarked that her glee over the destruction of things was at odds with her adorable, innocent, tulle-ruffled squishy white baby cuteness. We imagined that she had the capacity to become one of those deranged kids who pulls the legs off of ants for her entertainment. I surely hope not!
She does love to torment the dogs, though...
And then, for some reason, I was talking about gay men loving Greg...and how he has standards for his would-be (if he was gay, that is) homosexual partner. I explained about Harrison. We wondered if we would still be jealous if our s.o. had an affair with a same-sex partner. I said yes, I surely would. Related story of some nasty text pics. Ew.
I feel, for some reason, like the blog-worthy comment had to do with showers/bathing/personal hygiene. Talked about Greg's oral hygiene, 7-minute routine. Maybe I was just trying to "wash" the memory of the text pics away from my mind's eye?
Definitely discussed the future roasting of giant marshmallows procured by beau. I said that the only other giant marshmallows that I'd seen were fruit flavored. Discussed how unnatural it is to "toast" something that tastes like lemon, cherry, or orange. Wood-smoke and fruit....
Greg went to the extreme, stalker-like conditions of calling me every 15 minutes for an hour or so to tell me about an oak table at a yard sale.... Oh, how well he has taken to the idea of antiquing...
Brooke tried to wear Molly's camera like a necklace but the handstrap just wouldn't fit over her head, in spite of the fact that she tried dilligently over and over again. So, she settled for wearing it over the shoulder like a purse.
Still, it is not coming to me! I can replay the events of the day in amazing detail...word-for-word, but can't remember what I was saying right before the fateful, "I should blog that!" ARGH!
Wood smoke and FRUIT!!! Fruit like grapes. Grapes like jelly! Peanut butter and jelly and fillet mignon! Sweet Jesus, it is an Easter miracle...I pulled that from the corners of my amazingly complex mind. I'm like Charlie Sheen, normal people can't even begin to understand me. Haha :-)
So, it really has nothing to do with personal hygiene, as it turns out, but I wanted to blog about an experience that Greg and I shared while dating.
My parents sent us on a vacation to Jamaica. Upon arrival to our resort, we noticed two peculiar things:
1. Everyone in the lobby was nude, and
_Attached: materials data_
+++
Calculated powder XRD pattern of CaPr4Sm2Y for Cu Kα (λ = 1.5418 Å), from DFT lattice parameters and positions (PBE).
Peak positions follow from Bragg's law for the DFT cell and can differ from measured ones.

Crystal structure
```
CaPr4Sm2Y
1.0
7.0202 -6.7964 0.0000
7.0202 6.7964 0.0000
-3.4238 0.0000 6.0543
Ca Pr Sm Y
2 8 4 2
Direct
0.0000 0.0000 0.0000
0.0000 0.0000 0.5000
0.2521 0.7481 0.5106
0.2519 0.7479 0.9894
0.2609 0.2640 0.5291
0.2640 0.2609 0.0291
0.7360 0.7391 0.9709
0.7391 0.7360 0.4709
0.7481 0.2521 0.0106
0.7479 0.2519 0.4894
0.0000 0.5000 0.5000
0.5000 0.0000 0.0000
0.5000 0.5000 0.0000
0.5000 0.5000 0.5000
0.0000 0.5000 0.0000
0.5000 0.0000 0.5000
```

Main lines, sorted by position (2θ = 10–90°):
| 2θ/deg | I_rel |
| --- | --- |
| 26.22 | 100 |
| 29.23 | 74 |
| 29.51 | 71 |
| 29.60 | 73 |
| 39.67 | 64 |
| 39.88 | 63 |
| 39.95 | 65 |
| 59.26 | 20 |
| 59.74 | 19 |
| 62.73 | 33 |
+++
_Back to the piece_
2. There was a large banner reading, "Welcome Fluffernutters!"
We knew two things:
1. We were not nude, and
2. We were not Fluffernutters.
Shock faded into amused disbelief which turned into sheer amusement as we settled into the knowledge that we had been unwittingly sent to a nudist resort which happened to be hosting a swingers' convention. (And I thought that a fluffernutter was a peanut butter and marshmallow sandwich...guess I'll never eat one of those again.)
So, Greg and I entrenched ourselves what firmly in "prude" territory (versus "nude" territory). The resort worked like this: nude was allowed anywhere (like, in the dining area...the disco...the gym), but "prude" was excluded from "nude", you couldn't walk, while clothed, onto the nude beach, for instance.
I think that we "pruded" ourselves, at first, out of a deeply-ingrained sense of modesty. After all, we weren't expecting to vacation at a nudist colony and so had packed lots of pretty clothes... And, honestly, it takes some time/consideration/planning to wrap your mind all the way around being all sorts of naked.
As time went on, and we saw everyone else being nude--every body shape and age--I think we stayed alone on the "prude" side more for our protection than anything else. We were definitely the youngest people there, and arguably the most attractive. (Disclaimer: Not that I didn't find it beautiful that the nudists were so at ease in their skin [much of which was very baggy, saggy, bulging, protuberant, and crinkly-wrinkly]!) *Yes, that's a double parenthetical...and, yes, it is within the limits of my artistic license. I'm intense like that.
We became, like....MEAT. Fresh, young, toned, fully-packaged meat.
The nudists were all over us to get naked. After all, what did we have to be embarrassed about as the youngest, fittest of the guests, they asked. Good point, we agreed (while remaining clothed).
The swingers urged us to swing. Wives flirted with Greg in the presence of their husbands... Husbands talked to Greg about me in my presence... It was a very strange, new world indeed. We clung more and more tightly to each-(STILL-fully-clothed)-other.
One man/wife were particularly interested in me/Greg. The man told Greg that I was definitely "filet mignon" (and unfortunately implied that his poor wife was a "PB&J" in the process), as he said, "Listen man, I know your girl is prime like filet mignon, but even though filet mignon is delicious and expensive, if you eat it every night for dinner, eventually you are going to think...hey, I could really eat a peanut butter and jelly."
Someone pasted records of crystals at this point =
+++
# 1
Simulated PXRD pattern of TbPm2Cd2Hg2 for Cu Kα, from DFT lattice parameters and positions (PBE).
Neutral-atom scattering factors, no anomalous dispersion.

Principal peaks in the range 10° ≤ 2θ ≤ 80°, in order of rising 2θ:
| Position (°2θ) | I_rel |
| --- | --- |
| 19.8 | 12.7 |
| 24.6 | 16.6 |
| 26.6 | 12.9 |
| 31.2 | 31.6 |
| 33.8 | 78.4 |
| 36.2 | 100.0 |
| 41.6 | 11.5 |
| 50.4 | 25.4 |
| 63.7 | 25.1 |
| 64.1 | 26.8 |
| 65.2 | 20.0 |
| 76.9 | 13.8 |

Cell and atoms:
Cell: 4.9568 4.9568 26.9195 Å, 90.00 90.00 120.00°
Space group R-3m (No. 166, hexagonal axes)
Inequivalent atoms, fractional coordinates:
Tb  0.0000  0.0000  0.0000
Pm  0.0000  0.0000  0.1251
Cd  0.0000  0.0000  0.2615
Hg  0.0000  0.0000  0.3941

# 2
Simulated PXRD pattern of Pr4CdHg3 for Cu Kα, from DFT lattice parameters and positions (PBE).
Neutral-atom scattering factors, no anomalous dispersion.

Principal peaks in the range 10° ≤ 2θ ≤ 80°, in order of rising 2θ:
| Position (°2θ) | I_rel |
| --- | --- |
| 28.8 | 21.8 |
| 30.5 | 100.0 |
| 32.1 | 28.6 |
| 34.0 | 62.6 |
| 35.8 | 42.4 |
| 36.9 | 71.2 |
| 48.2 | 18.4 |
| 48.9 | 17.9 |
| 57.5 | 19.6 |
| 60.3 | 24.2 |
| 61.5 | 17.7 |
| 69.6 | 22.2 |

Cell and atoms:
Cell: 3.7749 5.0154 12.3997 Å, 90.00 90.00 90.00°
Space group Pmm2 (No. 25)
Inequivalent atoms, fractional coordinates:
Pr  0.0000  0.0000  0.0000
Pr  0.0000  0.5000  0.3007
Pr  0.5000  0.0000  0.4967
Pr  0.5000  0.5000  0.8038
Cd  0.0000  0.0000  0.7241
Hg  0.0000  0.5000  0.5747
Hg  0.5000  0.0000  0.2278
Hg  0.5000  0.5000  0.0727

# 3
Simulated PXRD pattern of Pr2Cd3Hg4 for Cu Kα, from DFT lattice parameters and positions (PBE).
Neutral-atom scattering factors, no anomalous dispersion.

Principal peaks in the range 10° ≤ 2θ ≤ 80°, in order of rising 2θ:
| Position (°2θ) | I_rel |
| --- | --- |
| 21.9 | 11.3 |
| 33.9 | 100.0 |
| 34.8 | 95.6 |
| 41.5 | 2.4 |
| 49.4 | 34.7 |
| 51.3 | 4.4 |
| 55.3 | 2.2 |
| 60.1 | 18.0 |
| 61.8 | 35.2 |
| 62.4 | 17.6 |
| 71.3 | 10.8 |
| 73.5 | 10.9 |

Cell and atoms:
Cell: 8.9254 5.1532 9.8488 Å, 90.00 90.05 90.00°
Space group C2/m (No. 12)
Inequivalent atoms, fractional coordinates:
Pr  0.1665  0.0000  0.2828
Cd  0.0000  0.5000  0.5000
Cd  0.1671  0.0000  0.9324
Hg  0.9995  0.5000  0.1551
Hg  0.1667  0.0000  0.6055

# 4
Simulated PXRD pattern of Pr4Cd2Hg for Cu Kα, from DFT lattice parameters and positions (PBE).
Neutral-atom scattering factors, no anomalous dispersion.

Principal peaks in the range 10° ≤ 2θ ≤ 80°, in order of rising 2θ:
| Position (°2θ) | I_rel |
| --- | --- |
| 14.1 | 14.0 |
| 21.8 | 11.9 |
| 33.0 | 100.0 |
| 33.2 | 24.8 |
| 33.3 | 24.4 |
| 47.7 | 17.8 |
| 58.8 | 10.4 |
| 58.9 | 9.4 |
| 59.1 | 18.5 |
| 59.4 | 18.4 |
| 69.3 | 11.5 |
| 79.4 | 11.9 |

Cell and atoms:
Cell: 7.7204 10.8090 5.3763 Å, 90.00 90.00 90.00°
Space group Cmmm (No. 65)
Inequivalent atoms, fractional coordinates:
Pr  0.2438  0.0000  0.0000
Pr  0.2500  0.2500  0.5000
Cd  0.0000  0.2537  0.0000
Hg  0.0000  0.5000  0.5000

# 5
+++
Greg took me by the hand and led me away after incredulously stating: "Are you crazy, dude? I hate peanut butter and jelly!"
And, we lived happily ever after...
in our clothes...
I can't believe you remembered what you wanted to blog about! I was onto something with the grape hyacinth eating :)
### Someone pasted materials data at this point
- - -
Entry 1:
Starting from the PBE geometry in the Materials Project, the powder X-ray diffraction pattern of K4ZrC5O15F2 was simulated for Cu Kα.
Neutral-atom scattering factors, no anomalous dispersion.

Principal peaks in the range 2θ = 5–70°, by intensity:
| 2theta | d [Å] | Rel. int. | hkl |
| --- | --- | --- | --- |
| 8.74 | 10.121 | 100 | 1 1 0 |
| 9.64 | 9.175 | 63 | 0 0 1 |
| 29.18 | 3.061 | 35 | 0 0 3 |
| 28.19 | 3.166 | 27 | 3 3 1 |
| 13.85 | 6.394 | 27 | 2 0 1 |
| 19.35 | 4.588 | 23 | 0 0 2 |
| 16.52 | 5.368 | 18 | 3 1 0 |
| 27.72 | 3.218 | 17 | 5 1 1 |

Structure:
```
data_K4ZrC5O15F2
_chemical_formula_sum 'K16 Zr4 C20 O60 F8'
_cell_length_a 17.9082
_cell_length_b 12.2675
_cell_length_c 9.1753
_cell_angle_alpha 90.00
_cell_angle_beta 90.26
_cell_angle_gamma 90.00
_space_group_name_H-M_alt 'C 1 2/m 1'
_space_group_IT_number 12
loop_
_space_group_symop_operation_xyz
'x,y,z'
'-x,-y,-z'
'-x,y,-z'
'x,-y,z'
'x+1/2,y+1/2,z'
'-x+1/2,-y+1/2,-z'
'-x+1/2,y+1/2,-z'
'x+1/2,-y+1/2,z'
loop_
_atom_site_label
_atom_site_fract_x
_atom_site_fract_y
_atom_site_fract_z
K1 0.0703 0.1577 0.3001
K2 0.1438 0.5000 0.4030
K3 0.2477 0.5000 0.7400
Zr1 0.1331 0.0000 0.6871
C1 0.1235 0.0000 0.9762
C2 0.1493 0.2540 0.6362
C3 0.2294 0.2123 0.6768
O1 0.0051 0.4494 0.7385
O2 0.0346 0.2659 0.0034
O3 0.0997 0.1792 0.6240
O4 0.1217 0.0000 0.1138
O5 0.1251 0.0895 0.8965
O6 0.1391 0.3539 0.6145
O7 0.2184 0.2220 0.3045
O8 0.2354 0.1075 0.6834
F1 0.0201 0.0000 0.6736
F2 0.1448 0.0000 0.4599
```



Entry 2:
Starting from the PBE geometry in the Materials Project, the powder X-ray diffraction pattern of Mn3Sn was simulated for Cu Kα.
Neutral-atom scattering factors, no anomalous dispersion.

Principal peaks in the range 2θ = 5–70°, by intensity:
| 2theta | d [Å] | Rel. int. | hkl |
| --- | --- | --- | --- |
| 42.39 | 2.132 | 100 | 2 0 1 |
| 40.05 | 2.251 | 26 | 0 0 2 |
| 37.14 | 2.421 | 24 | 2 0 0 |
| 27.04 | 3.297 | 18 | 1 0 1 |
| 66.94 | 1.398 | 16 | 2 2 0 |
| 55.76 | 1.649 | 14 | 2 0 2 |
| 32.02 | 2.796 | 7 | 1 1 0 |
| 54.09 | 1.695 | 5 | 2 1 1 |

Structure:
```
data_Mn3Sn
_chemical_formula_sum 'Mn6 Sn2'
_cell_length_a 5.5911
_cell_length_b 5.5911
_cell_length_c 4.5026
_cell_angle_alpha 90.00
_cell_angle_beta 90.00
_cell_angle_gamma 120.00
_space_group_name_H-M_alt 'P 63/m m c'
_space_group_IT_number 194
_space_group_name_Hall '-P 6c 2c'
loop_
_atom_site_label
_atom_site_fract_x
_atom_site_fract_y
_atom_site_fract_z
Mn1 0.1619 0.3239 0.2500
Sn1 0.3333 0.6667 0.7500
```



Entry 3:
Starting from the PBE geometry in the Materials Project, the powder X-ray diffraction pattern of KLaF4 was simulated for Cu Kα.
Neutral-atom scattering factors, no anomalous dispersion.

Principal peaks in the range 2θ = 5–70°, by intensity:
| 2theta | d [Å] | Rel. int. | hkl |
| --- | --- | --- | --- |
| 27.53 | 3.240 | 100 | 1 1 1 |
| 26.39 | 3.378 | 86 | 1 0 4 |
| 11.11 | 7.960 | 83 | 0 0 2 |
| 40.38 | 2.234 | 76 | 2 1 3 |
| 17.81 | 4.981 | 73 | 1 0 2 |
| 28.55 | 3.127 | 50 | 0 1 3 |
- - -
ReplyDeleteAhhhhh so happy you blogged about this trip.